Vol. 4: A 1209 usque ad 1300
December 9, 1211

Aquileian Patriarch and Istrian Margrave Wolfger confirms the temporal jurisdictions that the Church of Poreč enjoys by way of donations issued by previous patriarchs of Aquileia (13th-century forgery).

C = Poreč, Biskupijski arhiv, Iurium Episcopalium Liber I, fols. 43r–44r; late 15th-century copy with the following attestation: Auscultatum per me Iulium Brusamolinum notarium Ravennę.
Previous Editions
Pietro Kandler (ed.), Codice diplomatico istriano, 2nd ed. (Trieste 1986), vol. 2, doc. 212, pp. 389–90 (based on a later copy, most probably of B, from the Polesini family archive).
Ante Matan, "Excerpta manuscripti Canfanariensis: Vladarske listine i papinska povlastica iz kodeksa Monumenta capituli ecclesiae collegatiae sanctae Sophiae Duorum Castrorum ab anno 983-1815," Acta Histriae 21/4 (2013): pp. 533–34.
FIM Edition
Diplomatic edition based on B; the parts in petite font refer to Otto II's donation from 983 edited here.

In nomine Domini, amen.

Anno Domini MoCCoXIo, V idus decenbrisa, indictione XIIIIb.

Nos quidem Volfkerusc sancte Aquilegiensisd sedis patriarcha et marchio Istriee notum fieri volumus omnibus, quocirca omnium sancte Dei Ecclesie fidelium nostrorumque, presentium * et futurorum, noverit universitas qualiter interventu ac petitione dile[c]tif fratris nostri Fulceriig Parentini episcopi * nostram adiisse clementiam, postulans quatinush nos, pro Dei amore et beatorum martirumi Hermacore et Fortunati nostreque anime remedio, nostra * auctoritate omnia predia sue ecclesie que antea ab * antecessoribus nostris patriarchis * pro suarum animarum remedio prefate ecclesie donaverunt, qua in basilica sancti beatum corpus Mauri martiris requiescit, * confirmare et corroborare dignaremur.

Cuius dignis postulationibus aures nostre pietatis inclinantes pretaxate ecclesie predia nominativej:

[1] Castrum Parentinum situm in contrata que dicitur Duo Castella;
[2] et Montem Castellum situm in eadem contrata super ripamk Lemi ex parte australi;
[3] et ecclesiam sancti Martini iuxta Medilanum;
[4] totum territorium sancti Mauri in contrata civitatis Pole iuxta Medelinuml,
cum omnibus pertinentiis suis iuste et legaliter ad predictum Episcopatum Parentinum pertinentibus, necnon * terris, canpism, vineis, pratis, aquis, * piscationibus, * venationibus, nemoribus, montibus, planiciebusn *, et cum omnibus aliis rebus * que dici vel nominari possunt, * confirmamus eidem episcopo * suisque successoribus in perpetuum.

Precipientes * ut nullus * Patriarchatus nostri magna parvaque Persona pretaxatum episcopum suosque successores de omnibus supradictis rebus molestare temptet *, sed liceat eidem episcopo suisque successoribus quiete [et] pacifice predicta predia tenere et firmiter possidere, omnium hominum contradictione penitus remota.

[These crystal structures were left in the entry by mistake]
No. 1
LiSn2P3O12: optimized geometry, PBE.

## Properties
Formation energy from the elements ... -2526 meV per atom
Magnetic moment ... 0.000 μB/f.u.
Energy above the lowest structure with this stoichiometry ... 3 meV/atom

Cell lengths 8.5300, 9.1437, 14.7091 Å; angles 105.37, 90.26, 117.64 degrees
Closest atoms and distances in Å follow each position.
Space group P-1 (No. 2)
Inequivalent atoms, fractional coordinates:
Li1 0.0596 0.3767 0.1216 [2 per cell]  3 O 1.98-2.07
Li2 0.4017 0.6260 0.6560 [2 per cell]  4 O 1.98-2.15
Sn1 0.0165 0.5442 0.6708 [2 per cell]  6 O 2.03-2.11
Sn2 0.2194 0.9321 0.0707 [2 per cell]  6 O 2.04-2.12
Sn3 0.2818 0.0645 0.4292 [2 per cell]  6 O 2.03-2.11
Sn4 0.4708 0.4473 0.8250 [2 per cell]  6 O 2.03-2.13
P1 0.1689 0.2528 0.6236 [2 per cell]  4 O 1.52-1.58
P2 0.2294 0.2492 0.9821 [2 per cell]  4 O 1.53-1.58
P3 0.2303 0.2473 0.2677 [2 per cell]  4 O 1.53-1.57
P4 0.2696 0.7470 0.2281 [2 per cell]  4 O 1.53-1.58
P5 0.2711 0.7538 0.5219 [2 per cell]  4 O 1.53-1.57
P6 0.3375 0.7476 0.8724 [2 per cell]  4 O 1.53-1.56
O1 0.0115 0.9116 0.4025 [2 per cell]  1 P 1.52
O2 0.0511 0.2363 0.9472 [2 per cell]  1 P 1.54
O3 0.0840 0.5881 0.2292 [2 per cell]  1 P 1.58
O4 0.0896 0.3056 0.2528 [2 per cell]  1 P 1.56
O5 0.1267 0.7025 0.5876 [2 per cell]  1 P 1.54
O6 0.1539 0.4124 0.6117 [2 per cell]  1 P 1.58
O7 0.1755 0.0775 0.1892 [2 per cell]  1 P 1.53
O8 0.1959 0.7643 0.9347 [2 per cell]  1 P 1.56
O9 0.1988 0.0740 0.9896 [2 per cell]  1 P 1.53
O10 0.2128 0.6141 0.4235 [2 per cell]  1 P 1.55
O11 0.2408 0.2245 0.3671 [2 per cell]  1 P 1.54
O12 0.2432 0.2934 0.7282 [2 per cell]  1 P 1.54
O13 0.2537 0.7666 0.1281 [2 per cell]  1 P 1.54
O14 0.2609 0.6965 0.7652 [2 per cell]  1 P 1.56
O15 0.2875 0.3881 0.0834 [2 per cell]  1 P 1.58
O16 0.3015 0.2347 0.5568 [2 per cell]  1 P 1.54
O17 0.3079 0.9123 0.3064 [2 per cell]  1 P 1.53
O18 0.3133 0.9305 0.5126 [2 per cell]  1 P 1.53
O19 0.3707 0.3060 0.9168 [2 per cell]  1 P 1.53
O20 0.3706 0.6064 0.8923 [2 per cell]  1 P 1.54
O21 0.4206 0.7030 0.2413 [2 per cell]  1 P 1.54
O22 0.4235 0.3908 0.2642 [2 per cell]  1 P 1.57
O23 0.4448 0.7683 0.5691 [2 per cell]  1 P 1.57
O24 0.4923 0.0762 0.1033 [2 per cell]  1 P 1.53


No. 2
V12GaGe2S24: optimized geometry, PBE.

## Properties
Formation energy from the elements ... -1172 meV per atom
Magnetic moment ... 13.000 μB/f.u.

Cell lengths 6.8720, 20.5941, 9.7056 Å; angles 90.00, 90.00, 90.00 degrees
Closest atoms and distances in Å follow each position.
Space group Imm2 (No. 44)
Inequivalent atoms, fractional coordinates:
V1 0.0000 0.0693 0.0000 [4 per cell]  6 S 2.29-2.56
V2 0.0000 0.2641 0.0013 [4 per cell]  4 S 2.29-2.56
V3 0.0000 0.4033 0.0007 [4 per cell]  6 S 2.29-2.56
V4 0.2075 0.0000 0.2099 [4 per cell]  6 S 2.29-2.56
V5 0.2084 0.3335 0.2087 [8 per cell]  4 S 2.29-2.55
Ga1 0.0000 0.0000 0.6045 [2 per cell]  4 S 2.31-2.32
Ge1 0.0000 0.3334 0.6051 [4 per cell]  4 S 2.29
S1 0.0000 0.0864 0.2334 [4 per cell]  3 V 2.29
[Here the entry continues]

Si quis igitur huius nostre pagine violator fuerit, quod minime credimus, sciat se compositurum auri boni libras viginti, medietatem ecclesie Aquilegensi, et aliam medietatem prefato episcopo et suis successoribus.

Quod, ut verius credatur dilengentiusque ab omnibus observetur, hanc paginam propria manu corroborantes et sigilli nostri impresioneo inferius eandem iussimus asignarip.

Actum apud Austriam Civitatem in ecclesia sancti Paulini subq palatium patriarche.

Interfuerunt ad hoc testes rogati: Henricus archidiaconus Aquilegensis, Stefanusr eiusdem ecclesie decanus, Ottos Civitatensis decanus, Utit sancti Oldorigiu prepositus, Gernotus capellanus patriarche, Pirus etv Martinus Civitatenses canonici, Polontusw et Bonaventurax et alii quamplures clerici et laici.

== Misplaced materials data ==
........
# 1
Here is a geometry-optimized Tl6WO12 structure from the Materials Project. Energies are from meta-GGA r2SCAN.

The structure in extended XYZ format:
```
19
Lattice="4.221 -4.890 0.002 4.221 4.890 0.002 -1.446 0.000 6.295" Properties=species:S:1:pos:R:3 pbc="T T T"
O 2.975 4.288 4.472
O 4.330 -2.080 3.671
Tl 6.008 -0.841 2.497
Tl 2.673 -2.295 1.931
O 6.797 -0.990 0.227
Tl 3.348 -1.454 5.451
O 1.630 -1.187 3.778
O 5.168 3.298 0.553
O 5.365 1.187 2.521
O 1.827 -3.298 5.746
W 0.000 0.000 0.000
O 2.954 0.893 5.199
O 2.665 2.080 2.629
O 4.021 -4.288 1.827
O 0.198 0.990 6.072
Tl 4.323 2.295 4.369
O 4.041 -0.893 1.101
Tl 3.648 1.454 0.848
Tl 0.988 0.841 3.802
```

Formation energy from the elements = -1113.5 meV/atom
Magnetization = 0.00 μB/cell
Calculated total energy = -24.383 eV/atom

# 2
Here is a geometry-optimized TlW6O18 structure from the Materials Project. Energies are from meta-GGA r2SCAN.

The structure in extended XYZ format:
```
25
Lattice="3.705 -6.417 0.000 3.705 6.417 0.000 0.000 0.000 7.615" Properties=species:S:1:pos:R:3 pbc="T T T"
O 3.705 0.000 0.000
O 5.046 1.364 5.699
O 1.852 -3.208 0.000
O 3.705 3.688 1.916
O 1.852 3.208 0.000
O 2.363 -1.364 1.916
O 3.705 0.000 3.808
O 1.852 -3.208 3.808
O 3.705 3.688 5.699
O 3.705 -3.688 5.699
O 5.046 -1.364 1.916
Tl 0.000 0.000 3.808
W 1.852 3.208 1.899
W 3.705 0.000 1.899
W 1.852 -3.208 1.899
W 3.705 0.000 5.716
O 2.363 1.364 5.699
W 1.852 -3.208 5.716
O 5.046 1.364 1.916
O 2.363 -1.364 5.699
O 3.705 -3.688 1.916
O 2.363 1.364 1.916
O 1.852 3.208 3.808
O 5.046 -1.364 5.699
W 1.852 3.208 5.716
```

Formation energy from the elements = -2230.6 meV/atom
Magnetization = 0.00 μB/cell
Calculated total energy = -20.986 eV/atom

# 3
Here is a geometry-optimized Tm2O3 structure from the Materials Project. Energies are from meta-GGA r2SCAN.

The structure in extended XYZ format:
```
40
Lattice="-0.113 1.169 -8.918 0.393 -8.790 1.867 -7.477 3.494 3.577" Properties=species:S:1:pos:R:3 pbc="T T T"
O -5.755 1.259 -3.251
Tm -3.738 1.747 1.788
Tm -1.882 -4.981 -2.340
Tm -3.599 -2.064 -1.737
O -0.351 0.367 -2.251
Tm -5.430 -1.734 1.154
Tm 0.196 -4.395 0.934
Tm -5.683 3.245 -4.238
O -7.203 1.877 -0.653
O -5.618 -1.345 -1.095
Tm -3.959 0.251 -4.253
O -3.376 0.130 -2.116
Tm -1.634 -0.309 -7.380
Tm -0.024 -5.891 -5.108
O -7.211 -1.825 -3.637
O -1.698 -2.530 -6.823
O -3.348 -2.109 0.486
Tm -1.514 -7.373 0.764
Tm -7.173 1.763 1.635
O -5.176 -3.938 1.725
O 0.014 -2.302 0.163
O -1.750 -4.594 -4.594
O -3.821 -4.258 -1.358
O -5.177 -4.711 -4.424
O -1.442 -5.387 -0.223
Tm -1.767 -2.394 -4.628
Tm -0.057 0.584 -4.459
O -5.447 0.466 1.121
Tm -5.316 0.853 -1.133
O -3.849 -2.018 -3.960
O -5.499 -1.597 3.349
Tm -5.563 -3.818 3.907
O -2.021 -0.190 -5.199
Tm -3.238 -4.379 0.780
O -2.021 0.583 0.951
O 0.006 -6.004 -2.820
O -3.724 2.316 -4.977
O -3.473 -6.443 1.504
O -6.846 -4.494 -1.222
O -1.579 -2.783 -2.378
```

Formation energy from the elements = -4025.4 meV/atom
Magnetization = 0.00 μB/cell
........

Ego quidem Leonardus serenissimi Romanorum Inperatorisy Ottonis notarius interfui et, ut superius continetur, rogatus a predictis dominis patriarcha Volf[kero]z et F[ulcerio] episcopo bona fide scripsi.aa

Nos quidem Volfkerus sancte sedis Aquilegensis patriarcha et marchio Ist[r]ie scripsi.

Apparato critico

asic C; decembris ed. Kandler.  b) XIV ed. Kandler.  c) Volcherus ed. Kandler.  d) Aquilejensis ed. Kandler et saepe sic.  e) Istriae ed. Kandler et saepe -ae loco -e ed.  f) dileti C; dilecti ed. Kandler.  g) Fulkerii ed. Kandler.  hsic C; quatenus ed. Kandler.  i) martyrum ed. Kandler et saepe sic.  j) nominatim ed. Kandler.  k) ripa ed. Kandler.  l) Medilinum ed. Kandler.  msic C; campis ed. Kandler.  nsic C; planitiebus ed. Kandler.  osic C; impressione ed. Kandler.  psic C; om. Kandler.  q) super ed. Kandler.  r) Stephanus ed. Kandler.  s) Otho ed. Kandler et saepe sic.  tsic C: pro Wigandus  usic C; Oldorici ed. Kandler.  vom. Kandler.  w) Palottus ed. Kandler.  x) Bonavenetia ed. Kandler.  ysic C; imperatoris ed. Kandler.  z) Volf C; Volkerio ed. Kandler.  aades. ed. Kandler.

Editor's Notes

The charter in question is indubitably a forgery, made sometime in the mid-/second half of the 13th century on the basis of two charters: an authentic charter issued by Patriarch Wolfger and composed in the form of an "impure" sealed charter (sealed charter with datatio chronica in the protocol) by notary Leonard (the document is still unpublished; Poreč, Biskupijski arhiv, Iurium Episcopalium Liber I, fols. 49r-50v), and the donation charter of Otto II issued in 983 to the Church of Poreč (edited here as doc. 983_OP).

Here are the documents issued by Patriarch Wolfger that were used in the following diplomatic analysis:

  • Vincenzo Joppi (ed.), Aggiunte inedite al codice diplomatico istro-tergestino del secolo XIII (Udine 1878), docs. 2–4, pp. 13–18;
  • Vincenzo Joppi, “Documenti goriziani del secolo XII e XIII,” Archeografo triestino 11/3–4 (1885): doc. 12, pp. 393–94;
  • Reinhard Härtel and Cesare Scalon (eds.), Urkunden und Memorialquellen zur älteren Geschichte des Klosters Rosazzo (Vienna 2017), docs. 72–74, pp. 157–61;
  • Cesare Scalon (ed.), Diplomi patriarcali: I documenti dei patriarchi Aquileiesi anteriori alla metà del XIII secolo nell'Archivio capitolare di Udine (Udine 1983), doc. 9, pp. 37–38;
  • Laura Pani (ed.), I quaderni di Gualtiero da Cividale (1274–1275, 1291–1294) (Rome 2009), doc. 34, p. 136 (insert).

The diplomatic analysis shows that the forger mixed the two documents very awkwardly:

  • the protocol stems from Wolfger's charter (invocatio, datatio chronica) as does the intitulatio, written in the subjective form ("Nos quidem Volfkerus") regularly used in the sealed charters of the patriarchs of Aquileia in this period. The intitulatio features a small problem: when patriarch Wolfger indeed titled himself "marchio Istrie", he used the full title: "marchio Istrie atque Carniole" (cf. Joppi (ed.), Aggiunte inedite, doc. 2, pp. 13–15 cited above), but this omission can be explained as an error of the 16th-century copyist;
  • the arenga is missing;
  • from the promulgatio ("quocirca omnium—universitas qualiter") onwards, the charter is a verbatim copy of Otto II's donation to the Church of Poreč from 983; some parts were left out, the names were changed, and, of course, the enumeratio bonorum ("Castrum Parentinum—iuxta Medelinum") is changed.
  • the pertinence formula ("cum omnibus pertinentiis...") is again copied directly from Otto II's charter, just as the final clauses and the sanctio, although the original fine of a thousand pounds of gold was changed to mere twenty, to be divided between the Church of Aquileia and the bishop;
  • the corroboratio demonstrates that the charter in question is a blatant forgery as such corroboration, again copied verbatim from Otto II's charter, could not have been used by Wolfger;
  • after the corroboratio, the text returns to Wolfger's authentic act and copies the datatio topica, the list of witnesses (all of them indeed appearing in other Wolfger's authentic charters), and the first part of notary Leonard's completio.
  • the last line, "Nos quidem Volfkerus sancte sedis Aquilegensis patriarcha et marchio Istrie scripsi", clearly illustrates that the forger was out of his depth when he was compiling the charter; such a line, especially after the notarial completio, makes no sense at all.

While the text of the charter makes it easy to recognize the document as a blatant forgery, it is much more difficult to answer the questions arising from dubbing a primary source an actum spurium: what was the character of the forgery, when was it forged, and what were the forger's motives?

Materials data, as found in the file:
- - -
This record from the Materials Project describes crystalline Sr4Nb5O15 at its relaxed geometry. The functional is meta-GGA r2SCAN.

The structure in CIF format:
```
data_Sr4Nb5O15
_cell_length_a 9.029
_cell_length_b 9.029
_cell_length_c 6.995
_cell_angle_alpha 75.05
_cell_angle_beta 75.05
_cell_angle_gamma 36.87
_space_group_name_H-M_alt 'P 1'
_space_group_IT_number 1
loop_
_space_group_symop_operation_xyz
'x,y,z'
loop_
_atom_site_label
_atom_site_type_symbol
_atom_site_fract_x
_atom_site_fract_y
_atom_site_fract_z
Sr1 Sr 0.597 0.597 0.608
Sr2 Sr 0.197 0.197 0.198
Sr3 Sr 0.803 0.803 0.802
Sr4 Sr 0.403 0.403 0.392
Nb1 Nb 0.802 0.802 0.296
Nb2 Nb 0.598 0.598 0.100
Nb3 Nb 0.198 0.198 0.704
Nb4 Nb 0.402 0.402 0.900
Nb5 Nb 0.000 0.000 0.500
O1 O 0.101 0.588 0.101
O2 O 0.899 0.412 0.899
O3 O 0.500 0.000 0.500
O4 O 0.692 0.205 0.692
O5 O 0.308 0.795 0.308
O6 O 0.000 0.500 0.500
O7 O 0.795 0.308 0.308
O8 O 0.412 0.899 0.899
O9 O 0.588 0.101 0.101
O10 O 0.205 0.692 0.692
O11 O 0.897 0.897 0.409
O12 O 0.699 0.699 0.203
O13 O 0.301 0.301 0.797
O14 O 0.500 0.500 0.000
O15 O 0.103 0.103 0.591
```

Output
- Space-group type: C2/m, No. 12
- DFT formation energy: -69.7 kcal/mol of atoms

* * * * *

Entry 1:
Entry from Materials Project: an optimized crystal structure of DyPdPb (r²SCAN).

a b c (Å): 7.742 7.742 3.913
angles (deg): 90.00 90.00 120.00
Atoms (fractional coordinates):
Pd (0.000, 0.000, 0.500)
Pd (0.667, 0.333, 0.000)
Pd (0.333, 0.667, 0.000)
Pb (0.266, 0.000, 0.000)
Pb (0.734, 0.734, 0.000)
Pb (0.000, 0.266, 0.000)
Dy (0.401, 0.401, 0.500)
Dy (0.599, 0.000, 0.500)
Dy (0.000, 0.599, 0.500)

Results
Total energy ... -2.785 Ry/atom

=====

Entry 2:
Entry from Materials Project: an optimized crystal structure of HoRe2 (r²SCAN).

a b c (Å): 5.396 5.396 8.775
angles (deg): 90.00 90.00 120.00
Atoms (fractional coordinates):
Re (0.171, 0.829, 0.750)
Re (0.658, 0.829, 0.750)
Re (0.829, 0.171, 0.250)
Re (0.000, 0.000, 0.500)
Re (0.342, 0.171, 0.250)
Re (0.000, 0.000, 0.000)
Re (0.171, 0.342, 0.750)
Re (0.829, 0.658, 0.250)
Ho (0.667, 0.333, 0.937)
Ho (0.333, 0.667, 0.437)
Ho (0.667, 0.333, 0.563)
Ho (0.333, 0.667, 0.063)

Results
Total energy ... -3.396 Ry/atom

=====

Entry 3:
Entry from Materials Project: an optimized crystal structure of TbB2Ru (r²SCAN).

a b c (Å): 5.320 5.906 6.364
angles (deg): 90.00 90.00 90.00
Atoms (fractional coordinates):
Ru (0.750, 0.318, 0.318)
Ru (0.250, 0.182, 0.818)
Ru (0.750, 0.818, 0.182)
Ru (0.250, 0.682, 0.682)
Tb (0.250, 0.509, 0.163)
Tb (0.750, 0.991, 0.663)
Tb (0.750, 0.491, 0.837)
Tb (0.250, 0.009, 0.337)
B (0.585, 0.630, 0.460)
B (0.415, 0.370, 0.540)
B (0.915, 0.130, 0.040)
B (0.085, 0.370, 0.540)
B (0.585, 0.130, 0.040)
B (0.085, 0.870, 0.960)
B (0.415, 0.870, 0.960)
B (0.915, 0.630, 0.460)

Results
Total energy ... -1.359 Ry/atom

=====

Entry 4:
Entry from Materials Project: an optimized crystal structure of Tl6Si2O7 (r²SCAN).

a b c (Å): 9.707 9.707 7.931
angles (deg): 90.00 90.00 120.00
- - -

Otto II's confirmation charter of 983, upon which this forgery was modeled, and this Wolfger's charter contradict one another: according to Otto II's donation, the "loco qui dicitur Duo Castella", that is Dvigrad, had been given to the Bishopric of Poreč by royal donations; according to Wolfger's charter, however, the territory of Dvigrad was a temporal possession that the Bishopric of Poreč enjoyed by way of donations issued by the patriarchs of Aquileia.

This discrepancy was surely noted by Bishop Boniface who already in 1291 managed to procure a confirmation of Otto II's charter from the incumbent Roman King Rudolph of Habsburg (edited here as doc. 1291_RP).

If Bishop Boniface preferred to "prove" that Dvigrad belonged to Poreč by way of imperial donations, then the 1211 forgery had to have been made before his time, which leaves the ages of bishops Adalpert, Pagano, John or Otto, the period between c. 1220 and 1280, as the period in which the 1211 donation was forged.

Also, it is clear that the forgery was made as an attempt to "prove" the jurisdictions of the Bishopric of Poreč over Dvigrad, which was, at least from 1209 onwards, under the temporal dominion of the Patriarchate of Aquileia who were granted the jurisdiction over the entire Margraviate of Istria (see the charter here). The 1211 charter may, in fact, be a compromise disguised as an (in)authentic charter; a compromise between the bishops of Poreč and the patriarchs of Aquileia regarding the jurisdictions over Dvigrad: the bishops would recognize that their authority stems from the patriarchs of Aquileia and in exchange they would receive some lands in its "contrata", but not the full temporal jurisdictions.

Bishop Boniface was, it would seem, not content with such a state and thus endeavored to affirm full temporal dominion over Dvigrad by way of ancient, interpolated charters. He failed and ended up excommunicated by the incumbent patriarch of Aquileia Ottobono (cf. Kandler (ed.), Codice diplomatico istriano, vol. 3, doc. 519, p. 917).

In any case, the 1211 forgery presents an episode in the long story arc of the struggle between the Bishopric of Poreč and the Patriarchate of Aquileia over Dvigrad, a conflict that began in the late 10th century (see the editor's comments section in doc. 983_OP) and ended, it would seem, with Boniface's ignominious defeat.

How to Cite
First citation: Josip Banić (ed.), Fontes Istrie medievalis, vol. 4: A 1209 usque ad 1300, doc. 1211_PW, (last access: date).
Subsequent citations: FIM, 4: doc. 1211_PW.